Patronage For Your Peers

### Next to the text, the page also holds records of crystals
____________
(1)
10
Lattice="-1.556 -6.249 3.434 4.890 -3.494 -4.141 2.567 0.701 2.439" Properties=species:S:1:pos:R:3 comment="Ho2Ni2Sn (r²SCAN, optimized geometry)" dft_energy_ev_per_atom=-23.50 crystal_system=tetragonal e_form_ev_per_atom=-0.606 spacegroup="P4/mbm (127)" pbc="T T T"
Ho 1.086 -4.472 2.814
Ho 4.814 -4.569 -1.081
Ho 2.605 -1.876 0.470
Ho 3.296 -7.165 1.263
Ni 0.489 -6.827 1.449
Ni 2.845 -2.915 -2.155
Ni -0.005 -2.794 0.809
Ni 3.338 -6.949 -1.515
Sn 1.667 -4.871 -0.353
Sn 0.000 0.000 0.000



(2)
4
Lattice="0.000 3.372 3.372 3.372 0.000 3.372 3.372 3.372 0.000" Properties=species:S:1:pos:R:3 comment="HoNpRu2 (r²SCAN, optimized geometry)" dft_energy_ev_per_atom=-42.11 crystal_system=cubic e_form_ev_per_atom=-0.420 spacegroup="Fm-3m (225)" pbc="T T T"
Ho 3.372 3.372 3.372
Np 0.000 0.000 0.000
Ru 1.686 1.686 1.686
Ru 5.058 5.058 5.058



(3)
15
Lattice="3.459 0.000 0.000 -1.729 6.817 -1.228 0.000 0.007 8.540" Properties=species:S:1:pos:R:3 comment="Ho2O3 (r²SCAN, optimized geometry)" dft_energy_ev_per_atom=-20.66 crystal_system=monoclinic e_form_ev_per_atom=-3.922 spacegroup="C2/m (12)" pbc="T T T"
Ho 0.000 0.456 6.862
Ho 1.729 2.604 0.704
Ho 0.000 4.979 3.479
Ho 0.000 4.219 6.608
Ho 1.729 1.844 3.832
Ho 1.729 6.368 0.450
O 0.000 2.388 7.853
O 1.729 0.000 0.000
O 1.730 4.435 -0.541
O 1.729 5.082 5.215
O 0.000 2.810 4.821
O 1.729 4.013 2.491
O 0.000 1.742 2.097
O 1.730 0.402 5.535
O 0.000 6.422 1.777



(4)
40
Lattice="8.593 0.000 -3.038 -4.296 7.442 -3.038 0.000 0.000 9.114" Properties=species:S:1:pos:R:3 comment="Ho2O3 (r²SCAN, optimized geometry)" dft_energy_ev_per_atom=-20.69 crystal_system=cubic e_form_ev_per_atom=-3.953 spacegroup="Ia-3 (206)" pbc="T T T"
Ho 3.083 5.822 -4.361
Ho 2.945 1.860 4.361
Ho 4.158 3.480 -1.323
Ho -2.945 5.581 4.753
Ho 6.583 0.241 4.361
Ho -0.935 5.341 1.323
Ho 5.232 2.101 1.715
Ho 7.241 1.860 -1.715
Ho -2.287 7.201 -1.323
Ho 1.352 5.581 -1.323
Ho 0.139 3.961 4.361
Ho 1.213 1.620 7.399
Ho -2.148 3.721 -1.519
Ho 4.296 0.000 -1.519
Ho 0.000 0.000 4.557
Ho 2.148 3.721 1.519
O 5.148 1.936 4.032
O 4.378 7.122 0.724
O 3.369 1.784 6.548
O 2.384 3.952 3.762
O 1.251 5.736 0.994
O 3.502 5.426 -2.190
O 5.096 5.416 3.886
O 6.127 3.810 -2.314
O -1.082 5.746 3.509
O 2.009 7.353 3.510
O -2.103 7.211 0.994
O 4.291 4.041 0.848
O -0.800 2.025 -0.848
O 6.399 0.231 2.044
O 5.378 1.696 -0.471
O 3.045 1.705 2.044
O 1.912 3.490 -0.725
O 0.794 2.015 5.228
O 0.928 5.657 -3.509
O 2.287 0.089 -0.471
O -0.851 5.505 -0.994
O -1.830 3.632 5.352
O -0.082 0.320 2.313
O 0.006 3.401 2.190

=====

1.
ErCd3 (r2SCAN, optimized geometry); uncorrected energy = -95.4 eV per formula unit; symmetry = Cmcm, No. 63; energy of formation from the pure elements = -0.2949 eV per atom; magnetization = 0.0000 μB/atom
1.0
-4.626 -1.333 -0.086
0.633 -2.572 5.846
-1.779 6.164 0.180
Cd Er
6 2
Cartesian
-2.509 4.285 1.162
-3.486 -1.058 1.767
-3.263 -2.025 4.779
-2.286 3.318 4.174
-1.632 1.268 0.734
-4.141 0.992 5.207
-1.410 0.305 3.743
-4.362 1.955 2.198

***

2.
____________


sometimes refers to herself as “Aunt Sally”. This is because she gives kind, wholesome advice to everyone, of every stripe. She spends 100% of her effort in making her space a nice space. She spends ANOTHER 100% of her effort trying to help you do the same.

Sally's Tip-Jar

I have been touched by Sally’s generosity and kindness towards me, her giving spirit, her willing ear, her ready advice. Early in substack, before notes, she was one of the first people to “befriend” me on Office Hours, the sole social hangout space on substack at the time. She has encouraged me and offered me advice when writing fiction here on Gibberish.

I challenge any one of you to say you don’t know who she is, that she has said an unkind word to you, and that she hasn’t tried her best to help you succeed. I challenge any one of you to say the worlds she writes haven’t invited you in and made you feel things. It’s an easy challenge, I know there’s no one out there who can say it honestly. Even Substack recognized her talent and community-building by making her a featured publication the very first week of the new year. 2024 is the year for fiction.

Misplaced records of crystals:
~~~
Record 1
Below is Na3CoO3 after structural relaxation, with properties calculated at the PBE+U level.

As for the polymorph energy (0 for the lowest one): 0.112 eV/atom. For the electronic total energy, the calculation gives -32.457 eV per formula unit. The calculation puts the formation energy at -1.462 eV/atom.

abc: 6.0959 7.6793 10.8250
angles: 90.00 123.78 90.00
Space group P2_1/c (No. 14)
Unique sites:
Na 0.0402 0.1575 0.4327 x4
Na 0.2062 0.5317 0.4605 x4
Na 0.3903 0.2317 0.2738 x4
Co 0.2825 0.6499 0.8539 x4
O 0.0154 0.6355 0.8751 x4
O 0.2451 0.5810 0.6860 x4
O 0.4447 0.2234 0.0115 x4


Record 2
Below is MgFe6O6F6 after structural relaxation, with properties calculated at the PBE+U level.

As for the polymorph energy (0 for the lowest one): 0.043 eV/atom. For the electronic total energy, the calculation gives -113.082 eV per formula unit. The calculation puts the formation energy at -2.101 eV/atom.

abc: 5.2977 5.3407 8.8592
angles: 92.80 92.14 90.64
Space group P1 (No. 1)
Unique sites:
Mg 0.0000 0.0000 0.0000 x1
Fe 0.3015 0.0630 0.3666 x1
Fe 0.5050 0.9350 0.6784 x1
Fe 0.5132 0.9446 0.0286 x1
Fe 0.8466 0.4537 0.8329 x1
Fe 0.9844 0.5847 0.5163 x1
Fe 0.9873 0.5342 0.1803 x1
O 0.1452 0.3748 0.3637 x1
O 0.2191 0.8641 0.5337 x1
O 0.2408 0.8931 0.1754 x1
O 0.6873 0.1303 0.8446 x1
O 0.7208 0.6518 0.6687 x1
O 0.7934 0.6810 0.0011 x1
F 0.1140 0.3765 0.6837 x1
F 0.1499 0.3339 0.9809 x1
F 0.2500 0.8622 0.8445 x1
F 0.6055 0.1448 0.5076 x1
F 0.7638 0.6978 0.3542 x1
F 0.7668 0.1759 0.1510 x1


Record 3
Below is Li7Mn10Cr6O32 after structural relaxation, with properties calculated at the PBE+U level.

For the electronic total energy, the calculation gives -388.972 eV per formula unit. The calculation puts the formation energy at -2.153 eV/atom.

abc: 5.8774 5.9073 19.5165
angles: 81.74 81.44 60.33
Space group P1 (No. 1)
Unique sites:
Li 0.0000 0.0000 0.0000 x1
Li 0.0532 0.0780 0.8112 x1
Li 0.2428 0.2534 0.2493 x1
Li 0.3129 0.3240 0.0605 x1
Li 0.5563 0.5771 0.3109 x1
Li 0.7518 0.7493 0.7471 x1
Li 0.8053 0.8291 0.5594 x1
Mn 0.0282 0.0407 0.4052 x1
Mn 0.0299 0.5372 0.9049 x1
Mn 0.1538 0.1643 0.5283 x1
Mn 0.2796 0.2903 0.6535 x1
Mn 0.5254 0.0406 0.4054 x1
Mn 0.5279 0.5368 0.9051 x1
Mn 0.6561 0.6614 0.0304 x1
Mn 0.7760 0.2904 0.6536 x1
Mn 0.7777 0.7887 0.1550 x1
Mn 0.9005 0.9157 0.2797 x1
Cr 0.0279 0.5383 0.4052 x1
Cr 0.2779 0.7887 0.1550 x1
Cr 0.2795 0.7874 0.6531 x1
Cr 0.4024 0.4140 0.7795 x1
Cr 0.5280 0.0380 0.9055 x1
Cr 0.7778 0.2887 0.1550 x1
O 0.0659 0.6375 0.2152 x1
O 0.0699 0.0822 0.2172 x1
O 0.0904 0.1127 0.7060 x1
O 0.1258 0.5782 0.7117 x1
O 0.1749 0.7518 0.3444 x1
O 0.2156 0.2154 0.3521 x1
O 0.2227 0.2482 0.8474 x1
O 0.2282 0.6945 0.8473 x1
O 0.3211 0.8927 0.4632 x1
O 0.3275 0.3237 0.4642 x1
O 0.3399 0.3612 0.9580 x1
O 0.3814 0.8246 0.9660 x1
O 0.4266 0.0017 0.5935 x1
O 0.4676 0.4616 0.6029 x1
O 0.4862 0.4952 0.0927 x1
O 0.4897 0.9401 0.0947 x1
O 0.5767 0.1339 0.7112 x1
O 0.5831 0.5783 0.7120 x1
O 0.5984 0.6100 0.2077 x1
O 0.6245 0.0787 0.2149 x1
~~~
Back to the piece:

So I am writing this, not because this is my idea, but because this is an idea many people I speak to share, that we want to help make Sally’s dream of writing full-time a reality. And making this dream a reality asks for two things: First, to spare $5 to put towards a deserving souls dream. Second, to share this appeal with two people. Spare, and Share.

Sally's Tip-Jar

Why Sally? Why Now?

Like many of you, I was touched by Sally’s recent essay at

called “Of Fluttering Eyes & Forecasts”. In it, Sally describes the challenges of writing full-time. It’s a BIG dream, and we live for big dreams. But it also raised, in myself and others, a very real concern: There’s a remote chance that Sally’s dream can not come true. If she can no longer commit to sharing her worlds with us, it is we who will suffer, by losing her writing magic and the community she curates around fiction on substack.

I’m not writing this because Sally is a friend—though I do consider her a friend! I am not writing this because Sally is talented—though she IS talented. We all have many friends, and many of those friends are very talented. But not everyone we encounter has this confluence of talent, generosity, and ability which Sally has actualized in her writing. Not everyone we encounter has a dream hanging on a knifes edge the way Sally does.

Sparing $5 does not cost each of us very much. It’s not about a subscription, it’s not about what she is giving us. It’s not about whether it’s worth it. We know Sally’s writing is worth it. All of us, we already know how good she is. Sparing $5 makes us Patrons of a dream. She just quietly announced, in her typical understated way, that she has 2,000 subscribers. If each of those subscribers contributed $5, that would be $10,000. $10,000 falling out of the sky is enough to change most people’s lives forever. It’s enough to keep a dream alive forever.

Sally's Tip-Jar

Will you help become a Patron of this dream? Will you help make Substack a Dream-Engine?

Spread The Word

Share this post with two people. Any two people. And challenge them to do the same. The only way to make fiction work on Substack is to help bring eyes to fiction. At

, Sally hosts Talestack News where you can learn not just about her fiction but ALL fiction in the Substack fiction universe. Because Sally cares about helping you as much as she is working hard to grow herself. Sally is the rising tide.

Sharing this article will have the twofold effect of helping Sally, and helping you. If you write fiction, Talestack News will point eyes to your writing. If you read fiction, you will be swimming in some of the best fiction writers in the world who are WAITING for a chance to be published, WAITING for a chance to be discovered.

Share this article with two people. Two people who will love the engaging and imaginative world of Ferris Island Sally has created. People who will love the subtle magic of her story, The Book. People who will love the expansive, heartfelt, and overwhelming world of The Sleeper, The Singer and Cliffsong.

Sally's Tip-Jar

Imagine if all those stories disappeared. $5 can give them life.

Spare and Share

Spare $5, and make yourself a Patron of the Arts. Share this article, and help save a dream.

Thank you for reading, thank you for considering. Thank you for helping not just my friend, but a true friend of all of us. Thank you for helping her stories become stories we tell, and stories we share. Thank you for helping all of the Substack Fiction community.

# Inserted here: calculated crystals
# Na9Ta2Zn10P3S15O72

A relaxed Na9Ta2Zn10P3S15O72 crystal (GGA-PBE, the Materials Project).

Output
Calculated volume in Å³/atom: 13.70
Space group: P1, No. 1
Crystal system: triclinic
Energy of formation in meV/atom: -2113
Density in g/cm³: 3.220
Magnetization in μB/atom: 0.0000

a = 8.790 Å, b = 8.800 Å, c = 22.681 Å
α = 89.69°, β = 90.29°, γ = 119.92°
Element x y z (fractional)
1 O 0.848 0.302 0.530
2 O 0.305 0.457 0.472
3 O 0.507 0.864 0.364
4 O 0.186 0.224 0.698
5 O 0.135 0.645 0.363
6 O 0.520 0.833 0.762
7 O 0.024 0.822 0.409
8 O 0.880 0.360 0.637
9 O 0.869 0.364 0.919
10 O 0.358 0.862 0.577
11 O 0.163 0.474 0.259
12 O 0.695 0.145 0.029
13 O 0.981 0.806 0.088
14 O 0.452 0.302 0.030
15 O 0.148 0.456 0.970
16 O 0.036 0.223 0.197
17 O 0.879 0.519 0.137
18 O 0.818 0.029 0.805
19 O 0.494 0.131 0.919
20 O 0.800 0.972 0.408
21 O 0.827 0.020 0.090
22 O 0.353 0.861 0.864
23 O 0.136 0.493 0.578
24 O 0.483 0.162 0.245
25 O 0.216 0.026 0.307
26 O 0.636 0.129 0.419
27 O 0.307 0.855 0.971
28 O 0.800 0.823 0.910
29 O 0.473 0.323 0.745
30 O 0.163 0.687 0.761
31 O 0.483 0.119 0.634
32 O 0.217 0.187 0.805
33 O 0.353 0.494 0.362
34 O 0.027 0.201 0.910
35 O 0.314 0.832 0.262
36 O 0.137 0.490 0.863
37 O 0.854 0.547 0.029
38 O 0.154 0.700 0.469
39 O 0.445 0.139 0.527
40 O 0.977 0.787 0.805
41 O 0.186 0.962 0.194
42 O 0.847 0.530 0.745
43 O 0.642 0.519 0.637
44 O 0.500 0.355 0.419
45 O 0.354 0.493 0.077
46 O 0.140 0.650 0.078
47 O 0.636 0.117 0.136
48 O 0.812 0.788 0.305
49 O 0.193 0.020 0.589
50 O 0.509 0.646 0.864
51 O 0.526 0.689 0.260
52 O 0.975 0.172 0.588
53 O 0.174 0.974 0.908
54 O 0.827 0.808 0.588
55 O 0.871 0.503 0.419
56 O 0.512 0.653 0.580
57 O 0.549 0.856 0.472
58 O 0.678 0.161 0.744
59 O 0.970 0.189 0.304
60 O 0.310 0.475 0.760
61 O 0.777 0.815 0.198
62 O 0.848 0.323 0.244
63 O 0.505 0.864 0.077
64 O 0.170 0.187 0.411
65 O 0.694 0.551 0.530
66 O 0.480 0.363 0.137
67 O 0.684 0.530 0.245
68 O 0.773 0.961 0.693
69 O 0.040 0.815 0.698
70 O 0.197 0.173 0.088
71 O 0.545 0.694 0.970
72 O 0.634 0.503 0.919
73 Zn 0.994 0.003 0.848
74 Zn 0.324 0.648 0.518
75 Zn 0.011 0.011 0.348
76 Zn 0.658 0.326 0.183
77 Zn 0.671 0.336 0.985
78 Zn 0.000 0.998 0.152
79 Zn 0.665 0.346 0.484
80 Zn 0.998 0.998 0.652
81 Zn 0.333 0.658 0.018
82 Zn 0.668 0.327 0.684
83 S 0.995 0.290 0.250
84 S 0.042 0.374 0.917
85 S 0.997 0.707 0.751
86 S 0.960 0.335 0.583
87 S 0.041 0.665 0.417
88 S 0.374 0.335 0.083
89 S 0.629 0.957 0.418
90 S 0.294 0.290 0.751
91 S 0.712 0.708 0.251
92 S 0.627 0.667 0.918
93 S 0.368 0.038 0.582
94 S 0.958 0.625 0.083
95 S 0.331 0.960 0.918
96 S 0.669 0.627 0.584
97 S 0.670 0.040 0.083
98 P 0.297 0.006 0.250
99 P 0.332 0.372 0.418
100 P 0.714 0.009 0.750
101 Na 0.669 0.328 0.832
102 Na 0.332 0.041 0.416
103 Na 0.333 0.661 0.162
104 Na 0.991 0.002 0.000
105 Na 0.668 0.969 0.586
106 Na 0.665 0.337 0.331
107 Na 0.326 0.659 0.662
108 Na 0.301 0.969 0.086
109 Na 0.005 0.007 0.501
110 Ta 0.334 0.663 0.313
111 Ta 0.339 0.671 0.813

=====

Material: CaSmNi4O12
# End of the calculated crystals

God bless you!

- Scoot